Job >
Quote the lines further below from the line with "**Charge**: -1" to the end with every line break kept, please.

Entries >
-- begin --
Record 1
C3H7ClNO2S | ωB97M-V with the def2-TZVPD basis set

## Properties
**HOMO energy**: -3.622 eV
**HOMO-LUMO gap**: 7.468 eV
**Relative energy (zero: lowest compared OMol25 entry of this formula, charge and spin)**: 33.2 kcal/mol
**Charge**: -1
**LUMO level**: 3.8 eV
**SMILES**: CN(C)[S@@](=O)([O-])=CCl

```
15
Properties=species:S:1:pos:R:3:nbo_charge:R:1
C -1.02 -0.77 -0.52 -0.44
N -0.13 -0.83 0.65 -0.64
C -0.15 0.36 1.50 -0.43
S 1.56 -1.13 0.19 2.17
O 2.33 -0.97 1.43 -0.98
O 1.62 -2.47 -0.39 -0.98
C 1.73 0.16 -1.06 -0.88
Cl 2.80 1.48 -0.44 -0.17
H -0.78 -1.66 -1.07 0.22
H -2.02 -0.69 -0.08 0.18
H -0.78 0.13 -1.13 0.21
H 0.54 0.20 2.24 0.22
H 0.11 1.32 0.98 0.18
H -1.15 0.57 1.95 0.17
H 2.47 -0.32 -1.72 0.18
```

---

Record 2
C43H30N4S4W | ωB97M-V with the def2-TZVPD basis set

## Properties
**HOMO energy (alpha / beta)**: -6.472 / -6.449 eV
**HOMO-LUMO gap (alpha / beta)**: 5.377 / 5.363 eV
**Relative energy (zero: lowest compared OMol25 entry of this formula, charge and spin)**: 0.0 kcal/mol
**LUMO level (alpha / beta)**: -1.1 / -1.1 eV

```
82
Properties=species:S:1:pos:R:3:mulliken_charge:R:1
W -0.92 -0.51 -0.08 -0.23
S -3.15 0.73 -0.02 -0.25
C -3.46 1.35 -1.61 0.92
C -4.46 2.32 -1.79 -0.70
C -4.73 2.84 -3.04 -0.63
C -4.01 2.43 -4.16 -0.73
C -3.01 1.48 -4.00 -0.60
C -2.76 0.94 -2.75 0.18
S -1.49 -0.28 -2.62 -0.26
C -2.45 -1.82 -2.58 -1.04
C -1.46 -2.87 -2.21 0.80
C -1.37 -4.04 -2.94 -1.03
C -0.42 -4.98 -2.60 -0.78
C 0.42 -4.71 -1.54 -1.05
C 0.30 -3.51 -0.85 0.66
C 1.21 -3.27 0.32 -1.29
S 0.30 -2.51 1.68 0.06
C -0.93 -3.78 1.88 0.01
C -0.55 -4.99 2.47 -0.40
C -1.47 -6.01 2.61 -0.75
C -2.78 -5.80 2.17 -0.61
C -3.15 -4.60 1.61 -0.92
C -2.23 -3.55 1.46 0.91
S -2.82 -2.02 0.82 -0.31
N -0.63 -2.59 -1.17 1.05
H -5.01 2.65 -0.93 0.46
H -5.50 3.59 -3.14 0.39
H -4.21 2.86 -5.13 0.39
H -2.43 1.15 -4.85 0.46
H -2.91 -2.03 -3.55 0.57
H -3.22 -1.71 -1.81 0.18
H -2.06 -4.20 -3.75 0.50
H -0.34 -5.91 -3.15 0.43
H 1.17 -5.42 -1.23 0.54
H 2.04 -2.61 0.07 0.50
H 1.62 -4.23 0.64 0.66
H 0.46 -5.11 2.81 0.49
H -1.19 -6.95 3.06 0.39
H -3.52 -6.59 2.28 0.38
H -4.17 -4.44 1.28 0.48
N 7.18 2.96 5.36 -0.54
C 6.28 2.56 4.77 -0.13
C 5.16 2.06 4.03 0.64
C 4.23 2.96 3.48 -0.86
C 3.15 2.47 2.77 -0.01
C 2.99 1.10 2.59 -0.61
C 3.92 0.22 3.13 -0.13
C 5.00 0.69 3.85 -0.85
C 1.83 0.59 1.81 1.30
C 0.59 0.70 2.41 0.06
C 0.33 1.16 3.73 -0.98
C -1.02 1.06 3.94 -1.59
C -1.57 0.52 2.76 -0.30
N -0.63 0.30 1.84 1.19
C 2.13 0.07 0.53 -0.05
C 3.39 0.10 -0.11 -0.54
C 3.20 -0.38 -1.39 -1.86
C 1.84 -0.68 -1.51 -0.39
N 1.19 -0.44 -0.36 1.29
H 4.37 4.02 3.62 0.45
H 2.43 3.15 2.35 0.57
H 3.78 -0.85 2.98 0.46
H 5.72 0.01 4.28 0.44
H 1.08 1.51 4.42 0.59
H -1.57 1.31 4.83 0.47
H -2.60 0.27 2.56 0.59
H 4.30 0.46 0.33 0.64
H 3.94 -0.48 -2.17 0.51
H 1.32 -1.05 -2.37 0.49
C -0.50 1.48 -0.70 -0.72
C -0.24 2.57 -1.16 0.56
C 0.05 3.85 -1.72 -0.24
C 1.36 4.33 -1.77 -0.38
C 1.63 5.56 -2.34 -0.60
C 0.60 6.33 -2.86 -0.41
C -0.70 5.86 -2.82 -0.60
C -0.98 4.63 -2.25 -0.30
H 2.16 3.72 -1.37 0.49
H 2.65 5.93 -2.37 0.39
H 0.82 7.30 -3.30 0.38
H -1.51 6.46 -3.23 0.39
H -2.00 4.26 -2.22 0.36
```

---

Record 3
H4O4SSi | ωB97M-V with the def2-TZVPD basis set

## Properties
**HOMO energy**: -10.354 eV
**HOMO-LUMO gap**: 10.739 eV
**Relative energy (zero: lowest compared OMol25 entry of this formula, charge and spin)**: 118.8 kcal/mol
**LUMO level**: 0.4 eV

```
10
Properties=species:S:1:pos:R:3:nbo_charge:R:1
O 2.58 1.44 0.14 -0.91
O 3.12 -0.56 -1.15 -0.89
O 0.60 -0.96 0.10 -0.59
O 1.62 -0.87 0.96 -0.44
Si -0.68 -0.07 0.49 1.19
S 3.03 0.06 0.41 1.68
H 3.01 0.23 -1.86 0.52
H -0.37 1.35 0.38 -0.20
H -1.26 -0.81 -0.67 -0.17
H -1.17 -0.20 1.88 -0.19
```

---

Record 4
C23H23FeNO5 | ωB97M-V with the def2-TZVPD basis set

## Properties
**HOMO energy (alpha / beta)**: -6.736 / -8.318 eV
**Expectation value of S²**: 6.071
**HOMO-LUMO gap (alpha / beta)**: 6.961 / 5.827 eV
**2S+1**: 5
**LUMO level (alpha / beta)**: 0.2 / -2.5 eV

```
53
Properties=species:S:1:pos:R:3:mulliken_charge:R:1
-- stop --

Written answer >
**Charge**: -1
**LUMO level**: 3.8 eV
**SMILES**: CN(C)[S@@](=O)([O-])=CCl

```
15
Properties=species:S:1:pos:R:3:nbo_charge:R:1
C -1.02 -0.77 -0.52 -0.44
N -0.13 -0.83 0.65 -0.64
C -0.15 0.36 1.50 -0.43
S 1.56 -1.13 0.19 2.17
O 2.33 -0.97 1.43 -0.98
O 1.62 -2.47 -0.39 -0.98
C 1.73 0.16 -1.06 -0.88
Cl 2.80 1.48 -0.44 -0.17
H -0.78 -1.66 -1.07 0.22
H -2.02 -0.69 -0.08 0.18
H -0.78 0.13 -1.13 0.21
H 0.54 0.20 2.24 0.22
H 0.11 1.32 0.98 0.18
H -1.15 0.57 1.95 0.17
H 2.47 -0.32 -1.72 0.18
```

---

Record 2
C43H30N4S4W | ωB97M-V with the def2-TZVPD basis set

## Properties
**HOMO energy (alpha / beta)**: -6.472 / -6.449 eV
**HOMO-LUMO gap (alpha / beta)**: 5.377 / 5.363 eV
**Relative energy (zero: lowest compared OMol25 entry of this formula, charge and spin)**: 0.0 kcal/mol
**LUMO level (alpha / beta)**: -1.1 / -1.1 eV

```
82
Properties=species:S:1:pos:R:3:mulliken_charge:R:1
W -0.92 -0.51 -0.08 -0.23
S -3.15 0.73 -0.02 -0.25
C -3.46 1.35 -1.61 0.92
C -4.46 2.32 -1.79 -0.70
C -4.73 2.84 -3.04 -0.63
C -4.01 2.43 -4.16 -0.73
C -3.01 1.48 -4.00 -0.60
C -2.76 0.94 -2.75 0.18
S -1.49 -0.28 -2.62 -0.26
C -2.45 -1.82 -2.58 -1.04
C -1.46 -2.87 -2.21 0.80
C -1.37 -4.04 -2.94 -1.03
C -0.42 -4.98 -2.60 -0.78
C 0.42 -4.71 -1.54 -1.05
C 0.30 -3.51 -0.85 0.66
C 1.21 -3.27 0.32 -1.29
S 0.30 -2.51 1.68 0.06
C -0.93 -3.78 1.88 0.01
C -0.55 -4.99 2.47 -0.40
C -1.47 -6.01 2.61 -0.75
C -2.78 -5.80 2.17 -0.61
C -3.15 -4.60 1.61 -0.92
C -2.23 -3.55 1.46 0.91
S -2.82 -2.02 0.82 -0.31
N -0.63 -2.59 -1.17 1.05
H -5.01 2.65 -0.93 0.46
H -5.50 3.59 -3.14 0.39
H -4.21 2.86 -5.13 0.39
H -2.43 1.15 -4.85 0.46
H -2.91 -2.03 -3.55 0.57
H -3.22 -1.71 -1.81 0.18
H -2.06 -4.20 -3.75 0.50
H -0.34 -5.91 -3.15 0.43
H 1.17 -5.42 -1.23 0.54
H 2.04 -2.61 0.07 0.50
H 1.62 -4.23 0.64 0.66
H 0.46 -5.11 2.81 0.49
H -1.19 -6.95 3.06 0.39
H -3.52 -6.59 2.28 0.38
H -4.17 -4.44 1.28 0.48
N 7.18 2.96 5.36 -0.54
C 6.28 2.56 4.77 -0.13
C 5.16 2.06 4.03 0.64
C 4.23 2.96 3.48 -0.86
C 3.15 2.47 2.77 -0.01
C 2.99 1.10 2.59 -0.61
C 3.92 0.22 3.13 -0.13
C 5.00 0.69 3.85 -0.85
C 1.83 0.59 1.81 1.30
C 0.59 0.70 2.41 0.06
C 0.33 1.16 3.73 -0.98
C -1.02 1.06 3.94 -1.59
C -1.57 0.52 2.76 -0.30
N -0.63 0.30 1.84 1.19
C 2.13 0.07 0.53 -0.05
C 3.39 0.10 -0.11 -0.54
C 3.20 -0.38 -1.39 -1.86
C 1.84 -0.68 -1.51 -0.39
N 1.19 -0.44 -0.36 1.29
H 4.37 4.02 3.62 0.45
H 2.43 3.15 2.35 0.57
H 3.78 -0.85 2.98 0.46
H 5.72 0.01 4.28 0.44
H 1.08 1.51 4.42 0.59
H -1.57 1.31 4.83 0.47
H -2.60 0.27 2.56 0.59
H 4.30 0.46 0.33 0.64
H 3.94 -0.48 -2.17 0.51
H 1.32 -1.05 -2.37 0.49
C -0.50 1.48 -0.70 -0.72
C -0.24 2.57 -1.16 0.56
C 0.05 3.85 -1.72 -0.24
C 1.36 4.33 -1.77 -0.38
C 1.63 5.56 -2.34 -0.60
C 0.60 6.33 -2.86 -0.41
C -0.70 5.86 -2.82 -0.60
C -0.98 4.63 -2.25 -0.30
H 2.16 3.72 -1.37 0.49
H 2.65 5.93 -2.37 0.39
H 0.82 7.30 -3.30 0.38
H -1.51 6.46 -3.23 0.39
H -2.00 4.26 -2.22 0.36
```

---

Record 3
H4O4SSi | ωB97M-V with the def2-TZVPD basis set

## Properties
**HOMO energy**: -10.354 eV
**HOMO-LUMO gap**: 10.739 eV
**Relative energy (zero: lowest compared OMol25 entry of this formula, charge and spin)**: 118.8 kcal/mol
**LUMO level**: 0.4 eV

```
10
Properties=species:S:1:pos:R:3:nbo_charge:R:1
O 2.58 1.44 0.14 -0.91
O 3.12 -0.56 -1.15 -0.89
O 0.60 -0.96 0.10 -0.59
O 1.62 -0.87 0.96 -0.44
Si -0.68 -0.07 0.49 1.19
S 3.03 0.06 0.41 1.68
H 3.01 0.23 -1.86 0.52
H -0.37 1.35 0.38 -0.20
H -1.26 -0.81 -0.67 -0.17
H -1.17 -0.20 1.88 -0.19
```

---

Record 4
C23H23FeNO5 | ωB97M-V with the def2-TZVPD basis set

## Properties
**HOMO energy (alpha / beta)**: -6.736 / -8.318 eV
**Expectation value of S²**: 6.071
**HOMO-LUMO gap (alpha / beta)**: 6.961 / 5.827 eV
**2S+1**: 5
**LUMO level (alpha / beta)**: 0.2 / -2.5 eV

```
53
Properties=species:S:1:pos:R:3:mulliken_charge:R:1